• Excerpt:
Computed powder diffraction line list of AlTl for a wavelength of 1.5418 Å, from a PBE-relaxed structure.

Top 10 peaks for 2θ from 10° to 80°, by angle:
18.7 deg, I 46
22.6 deg, I 40
23.9 deg, I 76
25.3 deg, I 43
32.4 deg, I 96
33.2 deg, I 100
35.1 deg, I 27
37.4 deg, I 57
43.6 deg, I 26
44.9 deg, I 27

Crystal structure
Cell: 5.942 9.287 14.895 Å, 90.00 90.00 90.00°
Space group Fddd (No. 70, origin choice 2)
Unique sites:
Al  0.125  0.125  0.036 x16
Tl  0.125  0.291  0.625 x16

=====

Simulated PXRD pattern
Compound: Ho2Re3Si5
Radiation: Cu Kα (λ = 1.5418 Å)
Structure: the GGA-PBE geometry in OQMD
Kinematic intensities with the Lorentz-polarization factor, no thermal factor.

The 8 most intense peaks (10° ≤ 2θ ≤ 80°), low angle first:
d_spacing  I (rel.)  hkl
3.473  99  3 1 0
2.937  88  3 1 1
2.594  43  1 1 2
2.457  84  4 2 0
2.398  100  4 1 1
2.244  73  2 2 2
1.943  45  4 0 2
1.510  45  7 0 1

Atomic structure:
```
Ho2Re3Si5
1.0
10.9817 0.0000 0.0000
0.0000 10.9817 0.0000
0.0000 0.0000 5.5038
Ho Re Si
8 12 20
direct
0.0777 0.2371 0.0000 Ho
0.2371 0.9223 0.0000 Ho
0.2629 0.4223 0.5000 Ho
0.4223 0.7371 0.5000 Ho
0.5777 0.2629 0.5000 Ho
0.7371 0.5777 0.5000 Ho
0.7629 0.0777 0.0000 Ho
0.9223 0.7629 0.0000 Ho
0.0000 0.5000 0.2500 Re
0.0000 0.5000 0.7500 Re
0.1234 0.8528 0.5000 Re
0.1472 0.1234 0.5000 Re
0.3528 0.6234 0.0000 Re
0.3766 0.3528 0.0000 Re
0.5000 0.0000 0.2500 Re
0.5000 0.0000 0.7500 Re
0.6234 0.6472 0.0000 Re
0.6472 0.3766 0.0000 Re
0.8528 0.8766 0.5000 Re
0.8766 0.1472 0.5000 Re
0.0000 0.0000 0.2412 Si
0.0000 0.0000 0.7588 Si
0.0287 0.3140 0.5000 Si
0.1723 0.6723 0.2500 Si
0.1723 0.6723 0.7500 Si
0.1860 0.4713 0.0000 Si
0.3140 0.9713 0.5000 Si
0.3277 0.1723 0.2500 Si
0.3277 0.1723 0.7500 Si
0.4713 0.8140 0.0000 Si
0.5000 0.5000 0.2588 Si
0.5000 0.5000 0.7412 Si
0.5287 0.1860 0.0000 Si
0.6723 0.8277 0.2500 Si
0.6723 0.8277 0.7500 Si
0.6860 0.0287 0.5000 Si
0.8140 0.5287 0.0000 Si
0.8277 0.3277 0.2500 Si
0.8277 0.3277 0.7500 Si
0.9713 0.6860 0.5000 Si
```

=====

Diffraction record for Cs8Au3I3F. The powder XRD pattern is simulated, not measured: it uses the PBE geometry in Alexandria and Cu Kα (weighted mean of Kα1 and Kα2).
Lines closer than 0.1° are merged.

Largest 12 diffraction maxima, sorted by position, 2θ from 15° to 90°:
hkl 0 2 4, d = 3.752 Å, 23.72°, rel. 100
hkl 1 1 6, d = 3.397 Å, 26.24°, rel. 8
hkl 0 2 7, d = 2.927 Å, 30.55°, rel. 8
hkl 2 0 8, d = 2.696 Å, 33.23°, rel. 36
hkl 2 2 0, d = 2.611 Å, 34.34°, rel. 37
hkl 3 0 6, d = 2.505 Å, 35.85°, rel. 6
hkl 4 0 4, d = 2.143 Å, 42.16°, rel. 19

• Request:
Count the lines further up that contain the word "Cs8Au3I3F" and give the number alone, please.

• Written answer:
1